drug abuse

"My dad lives in Mexico. I’m not sure if my mom has papers." by richard ross

This is my first time. I was in LP for a few days. I was just AWOL for a few days from my foster home. I’m there with my biological brother and my foster mom’s daughter and another foster girl. I was with my aunt for two years. I was eleven when I was taken from my house. I didn’t know what was going on. My mom didn’t know what it meant for me to be detained either. The cops found a weed plant in my brother’s room and then they started investigating my mom and my step-dad. They smoked crack. DCFS took me, my two brothers, and my little sister into custody. My mom was pregnant and when the baby was born they took the baby away. My dad lives in Mexico. I’m not sure if my mom has papers.  My foster home is pretty good, no foster dad there. There was really no reason for me to go AWOL, I was picked up for truancy but I had gotten into trouble for graffiti. Putting white out on a bench in the park right next to school—during school. I was with a friend and we were waiting for nutrition class to end because we didn’t want to go to nutrition…so we went next door to the park for that period. They called it pen tagging. Then I lied to the police about what my name was. They handcuffed me. I went to court two months ago and they gave me probation. Then I violated by running away.

I’m in 9th grade. My mom was in AA rehab. There’s no abuse in my background. I’m fighting going to camp. The judge is making me go to placement although I have no idea why. They want me to go to a group home when I’m doing well in foster care. My boyfriend is 17. He’s a sophomore in HS. I stopped going to school in January. I tried going to continuation school. But I couldn’t get anyone there to help me enroll. I must have gone at the wrong time. I missed a court date and they issued a warrant. I’m not even sure why. I didn’t want to go to court. I was going through stuff with my mom. She talked to me about her drug abuse and how she couldn’t stop.

—Z.O., age 15



"I'm the only girl here." by richard ross

I've been here for 22 days. I've been in and out a bunch of times. At home I have a mom and dad and four younger brothers and sisters and an older brother and sister. I had an older sister who committed suicide a few years ago. I'm in the 9th grade. I would like to go to college. I received my first violation by stealing a car on drugs, then I overdosed on Benadryl and they found me passed out. I'll be here for 30 days and then I'll go to court with my parents. My mom is a CDC counselor, my dad is a construction worker. We're Tlingit-Haida. My parents moved us from LA to here, they have been sober for 11 years. We do more than the adults do, and they know that. I want to get into the ARCH treatment facility in the city. It's a program for drug abuse and chemical dependency. I'm the only girl here.

—N., age 14

• Unrelated to this piece: materials data:
'''
(1)
Diffraction record for LiThCuNi. The X-ray powder pattern is simulated, not measured: it uses a structure optimized by DFT (PBE) and Cu Kα (λ = 1.5418 Å).
Lines closer than 0.1° are merged.

The 9 most intense peaks (5 to 70 degrees two-theta), by intensity:
two_theta, d [Å], I/Imax
38.22, 2.355, 100
23.13, 3.845, 86
45.15, 2.008, 46
69.09, 1.360, 34
60.60, 1.528, 19
55.16, 1.665, 17
26.77, 3.330, 8
62.35, 1.489, 4
47.27, 1.923, 3

Structure:
```
4
Lattice="0.0000 3.3303 3.3303 3.3303 0.0000 3.3303 3.3303 3.3303 0.0000" Properties=species:S:1:pos:R:3 pbc="T T T"
Li 0.0000 0.0000 0.0000
Th 3.3303 3.3303 3.3303
Cu 4.9954 4.9954 4.9954
Ni 1.6651 1.6651 1.6651
```

(2)
Diffraction record for Li4NpCu3O12. The X-ray powder pattern is simulated, not measured: it uses a structure optimized by DFT (PBE) and Cu Kα (λ = 1.5418 Å).
Lines closer than 0.1° are merged.

The 12 most intense peaks (5 to 70 degrees two-theta), by intensity:
two_theta, d [Å], I/Imax
24.40, 3.648, 100
34.78, 2.579, 78
17.19, 5.159, 77
62.36, 1.489, 44
42.95, 2.106, 38
56.40, 1.631, 37
46.58, 1.950, 34
39.04, 2.307, 30
50.01, 1.824, 21
30.00, 2.978, 20
65.21, 1.431, 13
53.27, 1.720, 12

Structure:
```
20
Lattice="-3.6476 3.6476 3.6476 3.6476 -3.6476 3.6476 3.6476 3.6476 -3.6476" Properties=species:S:1:pos:R:3 pbc="T T T"
Li 1.8238 1.8238 -1.8238
Li 1.8238 -1.8238 1.8238
Li -1.8238 1.8238 1.8238
Li 1.8238 1.8238 1.8238
Np 0.0000 0.0000 0.0000
Cu 3.6476 0.0000 0.0000
Cu 0.0000 3.6476 0.0000
Cu 0.0000 0.0000 3.6476
O 3.6476 2.5660 -1.4858
O 2.1618 0.0000 1.0816
O 5.1335 0.0000 1.0816
O 1.0816 2.1618 0.0000
O 2.5660 -1.4858 3.6476
O 0.0000 1.0816 2.1618
O 3.6476 2.5660 1.4858
O 1.0816 5.1335 0.0000
O 2.5660 1.4858 3.6476
O -1.4858 3.6476 2.5660
O 1.4858 3.6476 2.5660
O 0.0000 1.0816 5.1335
```

(3)
Diffraction record for LiNpCu2S4. The X-ray powder pattern is simulated, not measured: it uses a structure optimized by DFT (PBE) and Cu Kα (λ = 1.5418 Å).
Lines closer than 0.1° are merged.

The 12 most intense peaks (5 to 70 degrees two-theta), by intensity:
two_theta, d [Å], I/Imax
18.98, 4.675, 100
32.73, 2.736, 83
34.10, 2.629, 60
52.69, 1.737, 46
40.10, 2.248, 38
28.06, 3.180, 27
41.79, 2.162, 19
44.73, 2.026, 16
51.09, 1.788, 15
38.52, 2.337, 14
53.64, 1.709, 13
66.86, 1.399, 12

Structure:
```
8
Lattice="-3.1797 3.1797 3.4478 3.1797 -3.1797 3.4478 3.1797 3.1797 -3.4478" Properties=species:S:1:pos:R:3 pbc="T T T"
Li 0.0000 0.0000 0.0000
Np 0.0000 0.0000 3.4478
Cu 3.1797 0.0000 1.7239
Cu 0.0000 3.1797 1.7239
S 1.8151 -1.8151 2.0872
S 1.3646 1.3646 1.3605
S -1.8151 1.8151 2.0872
S 1.8151 1.8151 4.8083
```

(4)
Diffraction record for LiCu3O3. The X-ray powder pattern is simulated, not measured: it uses a structure optimized by DFT (PBE) and Cu Kα (λ = 1.5418 Å).
Lines closer than 0.1° are merged.

The 12 most intense peaks (5 to 70 degrees two-theta), by intensity:
two_theta, d [Å], I/Imax
37.48, 2.399, 100
45.84, 1.979, 73
24.43, 3.644, 43
38.65, 2.329, 35
61.47, 1.508, 31
'''

